[Excerpt]
# 1
Below is a geometry-optimized PmTmOsPt structure, with properties calculated at the PBE level.

The space group is F-43m (No. 216) and the conventional cell measures 6.9387, 6.9387 and 6.9387 Å, with angles of 90.00, 90.00 and 90.00 degrees. The inequivalent atoms are Pm at (0.0000, 0.0000, 0.0000), Tm at (0.0000, 0.0000, 0.5000), Os at (0.2500, 0.2500, 0.2500) and Pt at (0.2500, 0.2500, 0.7500).

***

# 2
Below is a geometry-optimized PmZrOsPt structure, with properties calculated at the PBE level.

The space group is F-43m (No. 216) and the conventional cell measures 6.8518, 6.8518 and 6.8518 Å, with angles of 90.00, 90.00 and 90.00 degrees. The inequivalent atoms are Pm at (0.0000, 0.0000, 0.0000), Zr at (0.0000, 0.0000, 0.5000), Os at (0.2500, 0.2500, 0.2500) and Pt at (0.2500, 0.2500, 0.7500).

***

| no. | VASP energy (eV/atom) | DFT formation energy (meV per atom) |
| --- | --- | --- |
| 1 | -7.207 | -584 |
| 2 | -8.133 | -490 |

[Exercise]
What is needed: filter the rows above: keep the lines with the word "atoms".

[Result]
The space group is F-43m (No. 216) and the conventional cell measures 6.9387, 6.9387 and 6.9387 Å, with angles of 90.00, 90.00 and 90.00 degrees. The inequivalent atoms are Pm at (0.0000, 0.0000, 0.0000), Tm at (0.0000, 0.0000, 0.5000), Os at (0.2500, 0.2500, 0.2500) and Pt at (0.2500, 0.2500, 0.7500).
The space group is F-43m (No. 216) and the conventional cell measures 6.8518, 6.8518 and 6.8518 Å, with angles of 90.00, 90.00 and 90.00 degrees. The inequivalent atoms are Pm at (0.0000, 0.0000, 0.0000), Zr at (0.0000, 0.0000, 0.5000), Os at (0.2500, 0.2500, 0.2500) and Pt at (0.2500, 0.2500, 0.7500).